void GraphicalUintTest::initTestCase() { GraphicalInt * value = new GraphicalInt(false); QVERIFY( is_not_null( findSpinBox(value) ) ); delete value; }
void GraphicalIntTest::test_setValue() { GraphicalInt * value = new GraphicalInt(false); QDoubleSpinBox * spinBox = findSpinBox(value); QVERIFY( is_not_null(spinBox) ); // // 1. check with ints // QVERIFY( value->setValue(-1456) ); QCOMPARE( int(spinBox->value()), -1456 ); QVERIFY( value->setValue(215468548) ); QCOMPARE( int(spinBox->value()), 215468548 ); // // 2. check with other types // QVERIFY( !value->setValue(3.141592) ); QCOMPARE( int(spinBox->value()), 215468548 ); QVERIFY( !value->setValue(true) ); QCOMPARE( int(spinBox->value()), 215468548 ); QVERIFY( !value->setValue("789654123") ); QCOMPARE( int(spinBox->value()), 215468548 ); delete value; }
void GraphicalIntTest::test_constructor() { GraphicalInt * value = new GraphicalInt(false); QDoubleSpinBox * spinBox = findSpinBox(value); QVERIFY( is_not_null(spinBox) ); // 1. check the range QCOMPARE( spinBox->minimum(), Consts::int_min() ); QCOMPARE( spinBox->maximum(), Consts::int_max() ); // 2. value is empty, the line edit should be empty as well QCOMPARE( int(spinBox->value()), 0 ); delete value; value = new GraphicalInt(false, 1456); spinBox = findSpinBox(value); // 3. value is not empty QVERIFY( is_not_null(spinBox) ); QCOMPARE( int(spinBox->value()), 1456 ); delete value; }
Molecular data, kept here for reference.
┌──
Entry 1:
└──
Back to the piece.
void GraphicalUintTest::test_value() { GraphicalInt * value = new GraphicalInt(true); QDoubleSpinBox * spinBox = findSpinBox(value); QVariant theValue; theValue = value->value(); QVERIFY( theValue.type() == QVariant::UInt ); QCOMPARE( theValue.toInt(), 0 ); spinBox->setValue(412654); theValue = value->value(); QVERIFY( theValue.type() == QVariant::UInt ); QCOMPARE( theValue.toInt(), 412654 ); delete value; }
_Inserted here: records of molecules_
********
[1]
115
Properties=species:S:1:pos:R:3 method="wB97M-V/def2-TZVPD" de_lowest_kcal_mol=0.0 max_force_ha_per_bohr=0.0395 homo_lumo_gap_ev=8.69 e_lumo_ev=2.13 charge=-1
C 5.05083 6.40554 4.43405
O 5.74531 5.46899 3.64261
C 5.19037 4.15613 3.69456
C 6.02245 3.25603 4.60618
C 5.56070 1.78837 4.70861
C 4.97617 1.17360 3.42050
C 3.44766 1.28268 3.34462
C 2.72496 0.20407 4.15297
C 1.19463 0.15045 3.98266
C 0.47849 1.51489 4.00939
Ga -1.33672 1.56795 3.20519
Cl -2.12566 -0.46356 2.71361
C -1.47205 2.72733 1.55890
P -0.55846 2.27617 0.11440
O -1.18144 2.61121 -1.18659
O 0.89449 2.98652 0.26521
O -0.22739 0.70992 0.17925
N -2.70751 2.37507 4.45355
C -2.49644 2.35416 5.78856
O -2.79307 3.09894 6.64410
F -1.81964 1.20326 6.09448
C -3.28463 3.55532 3.97902
O -2.88304 4.65194 3.99530
F -4.46218 3.28049 3.36653
H 4.01772 6.54656 4.07899
H 5.58290 7.35996 4.36212
H 5.01297 6.10336 5.49389
H 5.15820 3.77175 2.66759
H 4.15006 4.21212 4.05694
H 7.06815 3.30940 4.26993
H 5.99949 3.70955 5.60968
H 4.81824 1.70945 5.51843
H 6.41971 1.18364 5.03204
H 5.26442 0.11405 3.35825
H 5.42392 1.63595 2.53367
H 3.15963 2.27524 3.71973
H 3.10948 1.24800 2.29516
H 2.95528 0.33939 5.22354
H 3.15023 -0.77420 3.87391
H 0.93600 -0.44346 3.09013
H 0.79260 -0.43930 4.81982
H 0.40766 1.85379 5.05169
H 1.06334 2.27736 3.47597
H -2.50982 2.76979 1.19699
H -1.16398 3.74523 1.83774
H 0.99221 3.56854 -0.50550
H 0.17413 0.39392 1.00172
C 2.52611 0.47790 -1.94318
C 3.81130 -0.29071 -2.22089
C 3.60449 -1.45385 -3.20388
O 2.96682 -2.58529 -2.64229
C 1.56338 -2.47436 -2.47505
N 4.41961 -0.72165 -0.96311
H 1.85083 -0.05558 -1.27837
H 2.74826 1.43627 -1.47184
H 1.99757 0.68382 -2.87503
H 4.51942 0.39587 -2.69985
H 4.57965 -1.81425 -3.54425
H 3.04574 -1.10231 -4.08339
H 1.11465 -1.90237 -3.29467
H 1.30226 -1.99111 -1.53269
H 1.14292 -3.47914 -2.46039
H 5.32936 -1.13610 -1.14113
H 3.85155 -1.47027 -0.57411
C -2.04914 -3.90870 -1.42128
C -1.43797 -5.30604 -1.49314
C -2.42110 -6.43168 -1.15314
O -2.70843 -6.58096 0.22347
C -3.63562 -5.64434 0.74885
N -0.22411 -5.32671 -0.67724
H -2.14780 -3.56972 -0.39006
H -1.40611 -3.19152 -1.93146
H -3.03690 -3.88243 -1.88678
H -1.13380 -5.48059 -2.53222
H -1.97922 -7.38495 -1.45764
H -3.35496 -6.29359 -1.71553
H -4.36906 -5.35400 -0.00819
H -3.13829 -4.75336 1.13966
H -4.15835 -6.13280 1.57199
H 0.28585 -6.19414 -0.81029
H -0.50030 -5.32147 0.30119
C 2.22241 5.37492 -6.07789
C 2.95661 4.03875 -6.07866
C 2.07163 2.83506 -5.73334
O 1.73805 2.71658 -4.36970
C 0.63345 3.49587 -3.93555
N 4.13720 4.14103 -5.21840
H 2.04635 5.72551 -5.06053
H 2.82355 6.12969 -6.58489
H 1.25798 5.29972 -6.58363
H 3.31867 3.85859 -7.09751
H 2.63096 1.92617 -5.97661
H 1.16009 2.84051 -6.34807
H -0.11371 3.59297 -4.72989
H 0.95020 4.49690 -3.62702
H 0.16573 3.00230 -3.08396
H 4.70667 3.30625 -5.31517
H 3.82530 4.13972 -4.25038
C -6.94310 -3.52405 -0.37014
C -6.94259 -4.09296 -1.78502
C -8.31106 -4.07140 -2.47203
O -9.22443 -5.04645 -2.00363
C -9.95178 -4.69487 -0.84450
********
void GraphicalIntTest::test_value() { GraphicalInt * value = new GraphicalInt(false); QDoubleSpinBox * spinBox = findSpinBox(value); QVariant theValue; // get value when the line edit is empty theValue = value->value(); QVERIFY( theValue.type() == QVariant::Int ); QCOMPARE( theValue.toInt(), 0 ); // get value when the line edit has a string spinBox->setValue(488654); theValue = value->value(); QVERIFY( theValue.type() == QVariant::Int ); QCOMPARE( theValue.toInt(), 488654 ); delete value; }
┌──
[1]
A 2-piece molecular cluster, C3H4ClNO2 overall at a distorted geometry, computed with ωB97M-V/def2-TZVPD.

The value obtained for the HOMO-LUMO gap (spin up / spin down) is 0.25883 / 0.26092 Eh. As for the energy above the lowest of the compared OMol25 structures with the same formula, charge and spin: 146.0 kJ/mol. The LUMO energy (spin up / spin down) is 0.657 / -3.572 eV. As for the multiplicity: 3. The HOMO energy (spin up / spin down) is -6.386 / -10.672 eV. The calculation puts the molecular weight at 121.52 g/mol.

Structure (XYZ):
```
11
Properties=species:S:1:pos:R:3:lowdin_spin:R:1
C 0.039 1.079 -0.252 0.07
C 1.390 0.684 -0.724 0.03
C 0.380 -1.375 0.566 0.63
N 0.599 -0.032 0.295 0.12
O -0.996 1.632 -0.405 0.07
O 0.847 -2.176 -0.180 0.96
Cl -3.133 -0.291 0.960 0.01
H 1.392 0.163 -1.760 0.01
H 2.347 1.198 -0.422 0.01
H -0.394 -1.742 1.373 0.09
H -2.471 0.860 0.547 0.00
```


[2]
C18H47CrFN3O6 as an isolated structure at a distorted geometry, computed with ωB97M-V/def2-TZVPD.

The value obtained for the HOMO-LUMO gap (spin up / spin down) is 0.28489 / 0.06020 Eh. Its total charge is +2. The LUMO energy (spin up / spin down) is -5.693 / -11.805 eV. As for the multiplicity: 6. The HOMO energy (spin up / spin down) is -13.445 / -13.443 eV. The calculation puts the molecular weight at 472.58 g/mol.

Structure (XYZ):
```
76
Properties=species:S:1:pos:R:3:lowdin_spin:R:1
Cr -0.646 -0.697 0.821 3.85
F 0.179 0.801 -0.443 0.03
C -0.115 2.217 -4.395 0.00
C -1.000 1.038 -3.993 0.00
C -0.249 -0.285 -3.784 0.00
O 0.154 -0.767 -5.064 0.00
C 0.646 -2.076 -5.110 0.00
N -1.752 1.428 -2.841 0.00
H 0.540 2.474 -3.562 0.00
H -0.697 3.070 -4.744 0.00
H 0.493 1.948 -5.259 0.00
H -1.761 1.037 -4.773 0.00
H -0.847 -1.039 -3.271 0.00
H 0.642 -0.180 -3.166 0.00
H 0.879 -2.255 -6.160 0.00
H -0.091 -2.800 -4.764 0.00
H 1.536 -2.281 -4.515 0.00
H -2.411 0.695 -2.622 0.00
H -1.112 1.279 -2.074 0.00
C -0.510 -2.548 3.649 0.00
O -1.129 -1.678 2.716 0.02
C -2.095 -0.845 3.474 0.00
C -2.837 0.077 2.492 0.01
N -1.851 1.018 1.902 0.01
C -2.454 1.950 0.895 0.01
C -3.485 3.022 1.354 0.09
O -2.958 4.104 2.052 0.66
C -3.904 5.051 2.539 0.09
H -1.269 -3.004 4.285 0.00
H 0.173 -1.989 4.288 0.00
H -0.013 -3.320 3.060 0.00
H -1.629 -0.209 4.227 0.00
H -2.848 -1.467 3.958 0.00
H -3.573 0.585 3.116 0.00
H -3.447 -0.456 1.762 0.00
H -1.595 1.650 2.647 0.00
H -2.896 1.529 -0.008 0.00
H -1.625 2.555 0.527 0.00
H -4.080 2.513 2.112 0.04
H -4.042 3.326 0.468 0.03
H -4.290 5.484 1.617 0.05
H -3.425 5.750 3.224 0.00
H -4.803 4.677 3.031 0.03
C 2.663 -5.911 -0.088 0.00
O 1.811 -4.805 0.095 0.00
C 1.753 -3.956 -1.121 0.00
C 0.733 -2.857 -0.840 0.01
N 0.861 -2.312 0.487 0.00
C 2.122 -1.493 0.532 0.00
C 2.318 -0.600 1.747 0.00
O 1.152 0.026 2.083 0.04
C 1.190 0.909 3.204 0.00
H 3.689 -5.557 0.010 0.00
H 2.534 -6.467 -1.017 0.00
H 2.414 -6.603 0.716 0.00
H 1.468 -4.562 -1.981 0.00
H 2.770 -3.613 -1.307 0.00
H -0.233 -3.359 -0.891 0.00
H 0.687 -2.052 -1.573 0.00
H 1.166 -3.144 0.971 0.00
└──
void GraphicalIntTest::test_signalEmmitting() { GraphicalInt * value = new GraphicalInt(false); QDoubleSpinBox * spinBox = findSpinBox(value); QSignalSpy spy(value, SIGNAL(valueChanged())); // // 1. through setValue() // value->setValue(125464); value->setValue(-876541); // 2 signals should have been emitted QCOMPARE( spy.count(), 2 ); spy.clear(); // // 2. by simulating keyboard events // spinBox->clear(); value->show(); // make the value visible (it ignores keyboard events if not) QTest::keyClicks(spinBox, "-2014" ); QTest::keyClicks(spinBox, "357" ); QTest::keyClicks(spinBox, "aq45s2" ); // 10 signals should have been emitted (one per character) // (13 chars entered but 'a', 'q' and 's' were ignored) QCOMPARE( spy.count(), 10 ); spy.clear(); // // 3. when committing // value->commit(); // 1 signal should have been emitted QCOMPARE( spy.count(), 1 ); delete value; }
void GraphicalIntTest::test_isModified() { GraphicalInt * value = new GraphicalInt(false); QDoubleSpinBox* spinBox = findSpinBox(value); // 1. initially, it's not modified QVERIFY( !value->isModified() ); // 2. change the value spinBox->setValue(123464); QVERIFY( value->isModified() ); // 3. change the value and commit spinBox->setValue(65454354); QVERIFY( value->isModified() ); value->commit(); QVERIFY( !value->isModified() ); // 4. put the same value spinBox->setValue(65454354); QVERIFY( !value->isModified() ); delete value; }